


Interpretations are based on translations

Interpretations depend on translations which are based on set rules, mapping input into another form of input that is more suitable to processing. Errors in translation will lead to misinformation that will result in not so optimal decision making.

These errors can come from ineffective mapping of the atomic elements of one language into another as a result of the differences in the source environments of each language. Differentiation of the levels of granularity or abstraction of the elements of each language, would force abstraction in one language to their closest relative in the other language as perceived by the interpreter and according to his environment, his history, his motives, and his intentions (among others).

To effectively communicate, these issues must be acknowledged and communicated so they can be resolved. For a near perfect mapping both (all) involved entities must share experiences of multiple cases to ensure membership of each source. In otherwise, unless you walk on someone else s shoes there is no way to completely understand what they are saying.

While this might be possible, to an extent, with other humans it remains a challenge when one of the parties is another form of life or an inanimate object (like nature for example).

We can t pursue our lives without thinking that our lives matter

This is the basic principle that gives meaning to future. Our existence is part of a continuum and as such it is defined by it context as much as it sustains its existence. Think of it as one person standing on top of another to reach out the fruit of a huge tree. The person at the very top collects the fruits and passed them down the human ladder to feed the rest. The person at the bottom reached a water source and passes water bottles to the top.

You are somewhere in the middle philosophizing about your importance.
Maybe you should just enjoy the view.

Sometimes an argument is made on who is more significant. Should demand for talent dictate an order of significance at a certain time in history. What is the same talent is not necessary at other times in history. Would the person who possess the talent have variable significance. Assigning importance based on significance would then be like fashion trends.

Significance is based on by differences even when we are part of a group. If everything was beautiful then beauty would not exist. The perceive differences are the ones that create significance and meaning. The same ones motivate us to be different. In the same way we are part of something so we can share (feed) on its difference from something else.

Mattering and determinism

The only way we can matter -meaning we differ - is if we have control. This implies randonmes as a prerequisite at least at the fundamendal leve of choices we can make. It therefore posses the question: can a universe based on randomness exhibit the magnitute of order our univesve displays. Can randomness at one level (say the micro level of choices), leave another level (say the macro level of the physical world) unaffective allowing in this way determinism to rule.

This can only happen if the various fluctuations/choices at the micro level cancel out in some way. For example it could be that my success/mattering on Earth results in someone elses loss (of mattering) leaving in this way the human race as an entity unaffected or planet Earth the only affected place. It is unlikelly that the faraway galaxies are affected in any way by the human race or Earth for that matter (that thought my suggest that physical laws might be different in other places/universes). So, my freedom of choice/change is only limited by the total potential of my unic of existence.

A duality seems neccesssary if freedom of choice is going to exist. Two worlds (micro and macro or this life and the after- life) coexist - one as a atomic/indivissibe entity of the other.

Searching for the meaning of life

Suppose you spend all your life trying to find the meaning of life. This presumes of course that you are capable of finding it under the right conditions.

By definition though the meaning of life is what makes life worth living so if you are searching for the meaning of life you are definitely not living life unless the meaning of life is to search for the meaning of life. So, searching for the meaning of life is worth it if searching for it is the meaning of life in which case you have already found it as you are doing it (living your life according to the meaning of life).

If, though, searching for the meaning of life is outside what life is then you are searching for something somewhere it doesn t exist. This makes the act of searching for the meaning of life lifeless which is a contradiction. If the meaning of life existed with life it should be findable and the act of finding it should be part of it or actually all of it. It like the process of proving rationality. It is irrational simply by not being included in the rational because a system cannot prove itself from within.

So, the options here are:
1. Spend your life searching for the meaning of life which you will never find as it does not belong in life
2. Spend your life ignoring the meaning of life

Here is an analog:
Why do we try to see in the dark if we can't? Because we want to force the dark into becoming so we can make sense of it.
But that would be like a blind person spending all his life trying to see instead of just living in the dark.

When it comes to the meaning of life we are the blind. We don t have that sense. We have so many others, though, that can make living in the dark quite a living.

(What comes next are quantum chemistry results, not part of the entry)
'''
The following is a quantum chemistry calculation of a molecular structure, C2H5NO2 in a non-equilibrium geometry, from the Open Molecules 2025 dataset.

Computed properties:
Electronic energy ... -7736.6983 eV
Gap between HOMO and LUMO ... 10.03 eV
LUMO ... -0.10 eV
Energy above the lowest of the compared OMol25 structures with the same formula, charge and spin ... 93.5 kcal per mole

Geometry as XYZ:
```
10
Properties=species:S:1:pos:R:3:forces:R:3
H -1.94823 -1.70557 0.86364 0.796 1.041 -0.214
H -1.59653 0.54501 -0.14851 -0.004 -0.959 0.718
H 0.69769 1.71770 0.26472 0.192 0.542 1.058
N -0.90916 0.10289 0.47498 4.031 1.943 -2.803
O 1.51722 1.15888 -1.53366 -1.956 -0.821 4.517
H 1.31899 -0.05617 0.35955 1.052 -0.639 0.609
C 0.76115 0.71922 -0.06507 -1.701 0.612 -2.086
C -0.91183 -1.21271 0.81217 -0.364 -3.019 0.792
H 1.05341 0.69247 -2.19185 -0.813 -1.097 -1.608
O 0.01728 -1.96173 1.16403 -1.232 2.396 -0.982
```
Positions in Å, forces in eV/Å.

=====

The following is a quantum chemistry calculation of a molecular structure, C9H6Br2Cl3F3O4 in a non-equilibrium geometry, from the Open Molecules 2025 dataset.

Computed properties:
Electronic energy ... -203424.5018 eV
Gap between HOMO and LUMO ... 9.51 eV
LUMO ... -0.81 eV

Geometry as XYZ:
```
27
Properties=species:S:1:pos:R:3:forces:R:3
Cl -3.32973 1.74095 -1.87043 -0.032 0.020 -0.007
Br -0.59647 -1.44117 2.55558 0.082 0.344 0.182
C 1.89223 -0.01556 0.81740 0.308 -0.464 0.319
C 3.14212 0.50997 1.43744 -0.381 1.490 0.289
H -1.19705 0.93292 -0.22364 -0.314 0.127 -0.150
O 1.42214 -2.19698 -0.14779 -0.340 0.304 0.301
H 0.88790 1.68027 0.19403 0.061 0.261 -0.096
O 3.31217 1.61202 1.89075 0.053 -1.266 -0.364
F -2.48581 -0.04689 1.33019 -0.347 0.239 0.204
C -2.56711 3.22622 -2.43931 0.034 -0.080 -0.055
H -0.20203 -0.34583 -0.82299 0.003 -0.291 -0.156
C -2.02533 -1.99264 0.08039 -0.236 -0.278 0.609
Br -1.42327 -3.76932 0.58682 -0.128 -0.033 -0.482
H 0.41398 1.14544 1.75614 -0.105 0.064 0.344
O 4.21226 -2.57762 0.54641 -0.393 1.244 0.402
C 0.65133 0.78566 0.76450 0.018 0.166 -0.303
C -1.42078 -0.78460 0.92463 0.140 -0.451 -0.218
C 3.61147 -1.56198 0.76899 0.266 -0.990 -0.484
F -3.35971 -1.98191 0.23696 0.126 0.022 -0.119
C 2.19725 -1.24537 0.41636 -0.015 -0.239 -0.224
C -0.54187 0.13070 0.08111 0.550 0.174 0.295
H 1.63371 -2.29180 -1.07720 0.213 -0.282 -0.323
O 4.12785 -0.44809 1.38681 0.479 -0.119 0.155
H -3.25163 4.04400 -2.26240 -0.008 0.024 0.017
F -1.77924 -1.80933 -1.22302 -0.025 -0.014 -0.179
Cl -2.24250 3.14492 -4.16918 -0.007 0.009 0.028
Cl -1.08192 3.55602 -1.53854 -0.004 0.019 0.014
```
Positions in Å, forces in eV/Å.

=====

The following is a quantum chemistry calculation of 2 unconnected molecules or ions with the total composition C5H16NS2, from the Open Molecules 2025 dataset.

Computed properties:
Electronic energy ... -28598.8895 eV
Net charge ... +1
Gap between HOMO and LUMO ... 9.72 eV
LUMO ... -3.18 eV
'''
(End of the quantum chemistry results)

Living in the moment

If I leave in the moment I don't need a past or a future.

I don't want to live in the moment. It is so restrictive. I want to live every-time, past, present, future - from the beginning of time to the end. A huge distance in time so that I will never be able to keep all of it in my mind, so that every instance of me could experience the joy and awe of exploring and experiencing something new. A perpetual search for satisfying my bottomless pit of fulfillment.

Living in the moment is pathetic. It is like numbing your senses and submitting to everything that comes. Considering +dt and -dt is probably better (like in fuzzy logic) because at least you have some frame of reference (the -dt) and a goal to work on (+dt). Change will be the revelation of the future.


Statistically, based on student excusses, people's relatives (especially the elderly) die more ofter before deadlines than any other time.


Mediocracy has rights to rewards but not decisions

Imperfections rule

God didn't design the world to perfection or under his full control. He left a level of uncertainty to allow room for creativity. Also, he can t be sitting down and enjoying his creation. If he bothered building the universe you would want to be part of it (at least where the action is), actively engaging, inspired and amazed by what comes out of it.

Reality = frequency of exposure to a signal * intensity of the signal

There is no way with the tools we have to prove a reality beyond what we experience. Assume the smallest unit of time we can sense. Let's say for the purposes of this discussion this is 1 hour. The sun comes up every morning Its reality would be 1/24 hours. If I visit my kitchen 20 times a day its reality will be 20/24. If sometimes I eat something delicious that will make the reality more desirable so it could even be 35/24. And so on...

Stories are popular because of their affiliation with reality. They repeat elements of our established and desirable reality.

Our realities are our axioms and can only prove theorems about them. The possible combinations of all our realities that we could ever discover there can be no more that realities within that system. If God exists it has to by definition be more than anything we can possible, imagine through our limited realities. Proving its existence is impossible. What is possible, though, is the existence of realities beyond our understanding. These of course are irrelevant to us as they can never be experienced or perceived in any way.
In this respect believing is God can only serve as ideal in a Platonist sense, and as such it can guide in the development of a purpose.

We can never know what to want because our limited life does not allow us to compare with alternative lives that could enforce by repeatition a reality that we will desire. So our first rehearsal is also out opening and closing performance. No time to write and test the script.

Given the option to live in a world you cannot control and one you can most people will choose the one they cannot control simply nothing is worth having in a world that you control because you will never know if you deserve what you have. This notion of worth is vital in defining individuality. I want to know (even if it is an illussion) that I earned my reality.

This is where vissibility comes. The more others recognise us the more alive we feel (as a confirmation of fulfilling our purpose).

It all begins and ends in your mind.


One possibility could be the we identify as conciousness is simply the identification of sources of signal that come from within the brain and not the exterior. The exterior sends signals to the brain continously. Unless a signall passes a certain thresshold it will not activate the flud of signals the different areas of the brain will send to each other. When it passes the thresshold I become aware of primary information different areas send in respond to their synchronous activation. When I fall asleep for example I raise the activation threshold so even active signals like in dreams do not cause the global activation that will wake me unless of course I see a nightmare or someone yells at me to wake up (the intensity of the sound breaks through).

Initial signals are at level Li (blue in the image) producing a total flow of Sum(Li).
When Sum(Li) > Threshold(L) then groups of neurons fire synchronously in the same direction. This current obviously create magnetic field that triggers surrounding neurons to fire probably in directions that alleviate the current (or maybe strengthen it in another direction).
These supercurrents (brown color in the image) quickly pass from area to area triggering responses that will drop the current which result in other neurons firing and creating physical reactions (I raise my arm for example). The reaction signal or otherwise the countercurrents are registered in the brain as internal signals abstracted under the label consciousness. The repetition of signals create in the brain What I interpret as reality.
At another level (green color) we might have the impression of us thinking that we are thinking.

It sounds like swarm intelligence where the various parts of the flock create micro-swarms that occasionally influence other areas. Short range influences (microswarms) when synchronized will result in long range influences (consciousness) Video

How then two individuals (groups of swarms) will be able to communicate. Imagine a swarm of birds synchronizing its various areas to perform a flight pattern like a horizontal eight 00. If the other individual is a random pattern, then its various magnetic fields will cancel each-other. The 00 though will produce a pattern that could persist over distance and start affecting the random resulting in maybe @@. The two individuals are now talking to each other. If the two adopt a cooperative formation (sustainable pattern over time) they might start affecting others so we start seeing communication resulting in interaction - eventually resulting in communities and the development of culture.

Video: A school of fish avoid a predator

Here is another analogy. Suppose there is a vehicle that you can t see inside. You see it driving through the road avoiding obstacles, anticipating other vehicles moves, communicates its intention with other vehicles through signals and interprets other vehicles signals. It seems to possess memory as it avoids a groove on the road that fell in the last time it drove in the same road and slowed down in anticipation of a bump in another part of the road. Every now and then the vehicle stops and refuels.

Because you have seen people coming in and out of vehicles before they move and after they stop you conclude they must have something to do with the driving of the vehicle. Obviously, since they don t puss it or pull it from the outside they must be in control of it. If various people get in and come down at various points it would be natural to conclude the vehicle is used for some kind of transport. What if though, if no one is getting in and out. The vehicle becomes a body, an organization, a new species. Apparently whatever is inside collectively decides to move the vehicle in some direction. One of them moves the steering wheel, another looks at the road ahead, another keeps track of the places they have been, another one listens to the beeps from the other cars, and so on. The entities, while specialized, they can easily acquire the expertise of each other so if one of them dies another one can compensate for the loss to an extent so basic functionality is preserved. When all of them die the vehicle. Dies. When the vehicle crashes they all die.

The entities inside see other vehicles moving around and since they can t see inside of them they come to the conclusion that the vehicles are one entity. Since they are in a vehicle too they deduce they are one and not separate entities. How can then they explain the communication between each other. They device a name for it, consciousness. Problem solved. Well, except for some of the vehicles that are called philosophers.


Is the survival of the spices more important than the survival of the individual? If the answer is yes there are interesting moral implications to follow. If on the other hand the answer is no then maximizing personal wealth and satisfaction should be the core obligation of each individual. Although this latter option might sound too selfish it could still produce cooperative societies that thrive by exhuming natural resources. Even when there is shortage of natural resources these societies can prosper as long as they can trade with other societies (in essence cooperatively exhume greater physical areas) or dominate others through power. Through friction, revolutions and wars one would expect competing societies to eventually deplete their human resources creating more space for the remaining populations to thrive. As long as the natural resource can provide for some portions of the population the war and peace situation will perpetuate.

Considering the altruistic answer to our question the growth and sustainability of our civilization becomes an ultimate priority. For this to be achieved and people do not start killing each-other a sense of fairness becomes necessary. One assumption is here important. Fairness of natural phenomena is meaningless. Fairness exists in social settings and it has to do with accessibility to opportunity and resources that will allow someone to grow. It has very little to do with equality in the sense we are used to talk about it. Here is where things get interesting. We are all born with different potential and capabilities. We are born with different DNAs. Given this inherent difference among individuals, equality as a social construct can only refer to the availability of opportunities for a specific function and activity.

Different DNAs suggest different potential and subsequently different possibilities and outcomes for everyone. Someone who is not privileged with abstract thinking and counting abilities will never become a top mathematician no matter the resources (tutors, time, books, etc) available to him.

Let us say an individual i at time t in a country c has potential ability Pisct for a specific subject s. This potential is available for him to use if he chooses to do so. His only imitation for achievement comes from his motivation or will Wist at the time and the availability of opportunities Osct available for materializing such potential. Given the influence of potential and will might have we can define a new variable that we will call denatotita (the Greek word for potential).

We can then define the realization potential as

If for the specific subject success is considered when a certain (realization) limit is reached Ls then the following applies for realization:

An individual s fulfilment (for lack of a better word growth might also be a good alternative) will then be:

His unfulfillment will be

We presume here than an excess of denatotita from fulfilled subject counters unfulfilled subjects.

Based on the previous. a country s denatotita at time t for a subject let say Surgeon is the sum of the denatotitas of its citizens across all subjects/areas of activities:

is the sum of the denatotitas of its citizens across all subjects/areas of activities:

The humanity s denatotita then at time t is:

Going back to the level of the country where one expects to find centralized authorities responsible for creating/distributing opportunities across sectors, it will be interesting to see how this distribution can take place. Let us assume that the total of +

* In a non-denatocratic society (communist, socialist, etc) everyone is afforded the same opportunities regardless of their abilities and will. For example, everyone should be allowed to become a surgeon.

It is obvious that this type of society will no grow much as most of this opportunity will be wasted to the wrong people. Very few will have the potential and will to advance. In addition, the breakdown might not be sufficient for even those that qualify to reach the limit L_surgeont to realize the opportunity.

* In a strict denatocratic society (where everyone is afforded opportunities proportional to their abilities and will) the distribution of opportunities should be according to everyone s potential. For a subject s

* In a realistic denatocratic society (where everyone is afforded opportunities proportional to their abilities and will but when there is a chance for success) the distribution of opportunities should be according to everyone s potential provided it is higher or equal to the corresponding limit L. This society will end up with a residual opportunity amount for subject s (say surgeon):

which it can redistribute to the failed one to allow for some to pass over the limit.

All of the above for the denatocratic society presume the society has the insight to know its present.

A denatocratic society with foresight should be able to see which opportunities are of strategic importance that when realized provide multiple benefits and maximize the and distribute its accordingly.

A denatocratic society with hindsight will distribute the residual opportunities according to the and its .

We shouldn t forget, of course, that some opportunities are inherent in the structure of the society and the situation at a given time and have nothing to do with the centralized authority that distributes opportunities. Entrepreneurs are often-times individuals that identify and exploit such opportunities.

Another aspect that needs to be addresed in the influence on the decision making. To preserve the "fairness" of the denatotita voting whoyld be weighted according to the voters denatotita. This way the posibility of a total idio casting an equal vote with a real contributor is eliminated.